fR3jclIIszb96iOdpqMK80eDe-U My Half Assed Life: Turns out, if you haven't been to a doctor in 3 years getting help is kind of hard.

Thursday, May 16, 2013

Turns out, if you haven't been to a doctor in 3 years getting help is kind of hard.

I'm ready to admit that I might need a little bit of "help" to get through this most recent hurdle life has thrown at me.

I'm also ready to admit that I've been feeling like shit for the past couple of years. You hit a certain stage in life and you never know if it's menopause or life. So you keep telling yourself it's menopause, and hope it isn't life.

Is it Memorex, or is it live?

Turns out, if you haven't been to a doctor in three years, just getting an appointment is a huge hurdle.

Apparently, these days you not only have to take time off of work to go to the Doctor, you have to take time off to make the damn appointment! My doctor has no receptionist over the lunch hour, or any other damn hour I'm not working.

So I called from my "pay as you go" cell - they have an opening in two weeks. On a Monday - which happens to be the only day of the week I need to meet deadlines.

Now honestly, I realize they're going to need to do blood work given my family history of thyroid issues, diabetes and my own history of anemia. So I want a morning appointment. That way we can get 'er done. Blood work and all. But Mondays do NOT work for me.

So as I was trying to negotiate an appointment, my cell phone ran out of minutes.

Finally tonight I was done at 5. I went to the walk in clinic - which used to be as close to a primary care physician as I had.

The man let me break down in his office, took my blood pressure and sent me on my way. He told me that he hasn't seen me in three years so he can't help me. Thank you!

Because I have a primary care physician now, I have to wait until I get in to see them. Even though I've never even met the Doctor that is supposed to be my Doctor.

Let's just hope she/he recognizes "my life has fallen apart" when she/he sees it and is willing to help. And also willing to give me a referral to a gynecologist who will give Aunt Flo her eviction notice.


  1. Ugh. That's the worst. Once I got cancer every doc I had to see had to have the word oncology/oncologist attached PLUS my primary and everybody had to be kept in the loop! Silly me I thought they would be the ones to do this but no, it was all on me, including getting referrals from all these clowns.. The medical field does not have my highest regards. The nurses took care of me, not the docs.

    1. I think that's often the case - the nurses looking after you. Here, doctors are somewhat capped so many of them have no nurse on staff. Many things that used to be looked after in a doctors office now aren't. I've even gone to my doctor and been told to go to emergency for a non-emergency. Which at $500, is a ridiculous waste of our health care funding.

  2. What? I have the problem in Germany wanting to see a doctor, but apparently they weren't taking any new patience. But you never get a doctor assigned to...also 3 years?? What a weird system is that. I hope you are getting seen soon and sorted!

    1. I have a family doctor - after going through a process to get one - I've just never been to him. Which means I have no relationship with the receptionist.

  3. I've been there. When my doctor ran away to Florida for some reason I was left in doctor limbo. I didn't want to see the guy she left all my records with, so I was stuck hoping I didn't get sick until I could find another one. Fun.

    1. It is fun. I went through the process three years ago because one of my kids had colitis and wasn't getting care through the walk in clinic. I've just never been myself.

  4. That is terrible. Is there no other doctor you can see? What if you had some sort of an emergency. I'm so sorry this is happening. Our insurance is ridiculously expensive, but we can choose from a network. If we want to see someone OUTSIDE the network we can, it just costs more.
    This is a terrible opti0n, but can you take a sick day at work? I mean it sounds like it may becoming a medical issue.

    1. I don't mind taking the time off of work to go to the doctor - I just don't think I should have to take time off to make an appointment.

Attached: materials data >
=====
This entry pairs a crystal structure of KAgHg14 with its computed powder diffraction line list. Radiation: a wavelength of 1.5418 Å. Structure: a structure optimized by DFT (PBE).
Intensities are scaled so that the largest is 100.

Structure:
a b c (Å): 9.3763 9.3763 11.3989
angles (deg): 106.22 106.22 84.13
Sites, in units of the cell vectors:
K  0.1826  0.8174  0.7500
K  0.8174  0.1826  0.2500
Ag  0.0000  0.5000  0.0000
Ag  0.5000  0.0000  0.5000
Hg  0.0289  0.1430  0.6270
Hg  0.1124  0.4572  0.4241
Hg  0.1250  0.1963  0.9226
Hg  0.1430  0.0289  0.1270
Hg  0.1484  0.4575  0.7926
Hg  0.1963  0.1250  0.4226
Hg  0.2399  0.4130  0.1985
Hg  0.2547  0.7015  0.0887
Hg  0.2985  0.7453  0.4113
Hg  0.4130  0.2399  0.6985
Hg  0.4216  0.5236  0.6053
Hg  0.4572  0.1124  0.9241
Hg  0.4575  0.1484  0.2926
Hg  0.4764  0.5784  0.8947
Hg  0.5236  0.4216  0.1053
Hg  0.5425  0.8516  0.7074
Hg  0.5428  0.8876  0.0759
Hg  0.5784  0.4764  0.3947
Hg  0.5870  0.7601  0.3015
Hg  0.7015  0.2547  0.5887
Hg  0.7453  0.2985  0.9113
Hg  0.7601  0.5870  0.8015
Hg  0.8037  0.8750  0.5774
Hg  0.8516  0.5425  0.2074
Hg  0.8570  0.9711  0.8730
Hg  0.8750  0.8037  0.0774
Hg  0.8876  0.5428  0.5759
Hg  0.9711  0.8570  0.3730

Largest 10 diffraction maxima, sorted by position, 10° ≤ 2θ ≤ 90°:
2θ 27.77, rel. 77.9; 2θ 28.72, rel. 81.7; 2θ 29.60, rel. 49.9; 2θ 29.78, rel. 52.5; 2θ 31.41, rel. 50.9; 2θ 32.20, rel. 89.7; 2θ 33.20, rel. 79.3; 2θ 38.41, rel. 100.0; 2θ 39.11, rel. 45.5; 2θ 39.21, rel. 50.8



This entry pairs a crystal structure of Er12Co7 with its computed powder diffraction line list. Radiation: a wavelength of 1.5418 Å. Structure: a structure optimized by DFT (PBE).
Intensities are scaled so that the largest is 100.

Structure:
a b c (Å): 8.2063 11.0925 10.9182
angles (deg): 90.00 125.05 90.00
Sites, in units of the cell vectors:
Er  0.0036  0.1590  0.3419
Er  0.0036  0.3410  0.8419
Er  0.2345  0.5709  0.8064
Er  0.2345  0.9291  0.3064
Er  0.2522  0.1988  0.1760
Er  0.2522  0.3012  0.6760
Er  0.2636  0.7055  0.5382
Er  0.2636  0.7945  0.0382
Er  0.2688  0.0707  0.9128
Er  0.2688  0.4293  0.4128
Er  0.3438  0.5033  0.1445
Er  0.3438  0.9967  0.6445
Er  0.6562  0.0033  0.3555
Er  0.6562  0.4967  0.8555
Er  0.7312  0.5707  0.5872
Er  0.7312  0.9293  0.0872
Er  0.7364  0.2055  0.9618
Er  0.7364  0.2945  0.4618
Er  0.7478  0.6988  0.3240
Er  0.7478  0.8012  0.8240
Er  0.7655  0.0709  0.6936
Er  0.7655  0.4291  0.1936
Er  0.9964  0.6590  0.1581
Er  0.9964  0.8410  0.6581
Co  0.0000  0.0000  0.0000
Co  0.0000  0.5000  0.5000
Co  0.0063  0.0994  0.6000
Co  0.0063  0.4006  0.1000
Co  0.3987  0.6847  0.3416
Co  0.3987  0.8153  0.8416
Co  0.4095  0.1775  0.4739
Co  0.4095  0.3225  0.9739
Co  0.5905  0.6775  0.0261
Co  0.5905  0.8225  0.5261
Co  0.6013  0.1847  0.1584
Co  0.6013  0.3153  0.6584
Co  0.9937  0.5994  0.9000
Co  0.9937  0.9006  0.4000

Largest 10 diffraction maxima, sorted by position, 10° ≤ 2θ ≤ 90°:
=====
Here the text continues >

  5. I need to see a doctor about all of these anxiety problems I keep having, but I have so much anxiety about the process of setting up an appointment, and then nobody being able to help, that I keep on not calling to make an appointment! Also, I am in the same boat as far as I have no time during work breaks (after peeing and eating) to call to set up an appointment when the doctor's office is open to do so. So stressful.

    1. I effing hate going to the doctors. Especially when I know I'm past due for the "let your knees relax" visit.

  6. UGH! Maneuvering through our "health care" system is so frustrating. It took my dad (he's almost 70) over 6 months to change doctors after his primary retired. And my dad is retired so he had time to deal with all the crap. Sorry you're having to deal with this. I hope you get this resolved soon and that you get to say goodbye to that pesky aunt of yours.

    1. You have no idea how badly I want to see the back of that Aunt.

  7. Karma? I'm not always the nicest person...
